**Job:**
What is needed: start at the top of the entries further below and transcribe each line, ending with the one that has "0.487 0.503".

**Given:**
********
Y2WO6: relaxed, PBE with a Hubbard U.

abc: 5.301 8.723 21.119
angles: 90.00 90.00 90.00
Atoms (fractional coordinates):
Y: 0.010 0.243 0.299
Y: 0.036 0.745 0.931
Y: 0.040 0.091 0.064
Y: 0.087 0.105 0.834
Y: 0.413 0.895 0.334
Y: 0.460 0.909 0.564
Y: 0.464 0.255 0.431
Y: 0.490 0.757 0.799
Y: 0.510 0.257 0.701
Y: 0.536 0.755 0.069
Y: 0.540 0.409 0.936
Y: 0.587 0.395 0.166
Y: 0.913 0.605 0.666
Y: 0.960 0.591 0.436
Y: 0.964 0.245 0.569
Y: 0.990 0.743 0.201
W: 0.014 0.478 0.812
W: 0.063 0.484 0.057
W: 0.437 0.516 0.557
W: 0.486 0.522 0.312
W: 0.514 0.022 0.188
W: 0.563 0.016 0.943
W: 0.937 0.984 0.443
W: 0.986 0.978 0.688
O: 0.108 0.818 0.401
O: 0.128 0.826 0.634
O: 0.175 0.111 0.382
O: 0.179 0.624 0.754
O: 0.192 0.043 0.503
O: 0.202 0.454 0.622
O: 0.209 0.129 0.642
O: 0.224 0.373 0.504
O: 0.229 0.318 0.778
O: 0.229 0.447 0.373
O: 0.238 0.327 0.015
O: 0.248 0.031 0.252
O: 0.252 0.969 0.752
O: 0.262 0.673 0.515
O: 0.271 0.553 0.873
O: 0.271 0.682 0.278
O: 0.276 0.627 0.004
O: 0.291 0.871 0.142
O: 0.298 0.546 0.122
O: 0.308 0.957 0.003
O: 0.321 0.376 0.254
O: 0.325 0.889 0.882
O: 0.372 0.174 0.134
O: 0.392 0.182 0.901
O: 0.608 0.682 0.599
O: 0.628 0.674 0.366
O: 0.675 0.389 0.618
O: 0.679 0.876 0.246
O: 0.692 0.457 0.497
O: 0.702 0.046 0.378
O: 0.709 0.371 0.358
O: 0.724 0.127 0.496
O: 0.729 0.053 0.627
O: 0.729 0.182 0.222
O: 0.738 0.173 0.985
O: 0.748 0.469 0.748
O: 0.752 0.531 0.248
O: 0.762 0.827 0.485
O: 0.771 0.818 0.722
O: 0.771 0.947 0.127
O: 0.776 0.873 0.996
O: 0.791 0.629 0.858
O: 0.798 0.954 0.878
O: 0.808 0.543 0.997
O: 0.821 0.124 0.746
O: 0.825 0.611 0.118
O: 0.872 0.326 0.866
O: 0.892 0.318 0.099

Values from the calculation:
- Energy with MP2020 corrections: -680.45 eV/cell
- Formation energy from the elements: -29.48 eV/f.u.
- Mass density: 6.23 g/cm3
- Crystal system: orthorhombic
- ΔE to the lowest computed polymorph: 0.0120 eV/atom
- Raw total energy: -8.4996 eV per atom
- SG: P2_12_12_1 (19)

----------

Record 1
Compound: Li32Ti3Cr13O48
Source: the Materials Project
Functional: PBE+U
Structure: relaxed

POSCAR file:
```
Li32Ti3Cr13O48
1.0
5.047 0.000 0.000
0.051 8.726 0.000
1.673 2.728 19.238
Li Ti Cr O
32 3 13 48
Direct
0.000 0.000 0.000 Li
0.000 0.332 0.501 Li
0.116 0.127 0.125 Li
0.116 0.128 0.625 Li
0.226 0.919 0.251 Li
0.232 0.923 0.750 Li
0.239 0.255 0.750 Li
0.241 0.253 0.250 Li
0.249 0.583 0.750 Li
0.257 0.587 0.249 Li
0.366 0.378 0.875 Li
0.367 0.378 0.375 Li
0.484 0.174 0.000 Li
0.486 0.175 0.500 Li
0.487 0.503 0.500 Li
0.491 0.504 0.000 Li
0.498 0.832 0.001 Li
0.498 0.832 0.500 Li
0.616 0.628 0.125 Li
0.617 0.628 0.625 Li
0.733 0.422 0.250 Li
0.734 0.423 0.750 Li
0.742 0.752 0.250 Li
0.748 0.752 0.750 Li
0.749 0.082 0.749 Li
0.751 0.084 0.250 Li
0.866 0.877 0.875 Li
0.868 0.878 0.376 Li
0.980 0.673 0.000 Li
0.984 0.674 0.500 Li
0.992 0.001 0.500 Li
0.998 0.333 0.999 Li
0.363 0.714 0.875 Ti
0.613 0.965 0.125 Ti
0.871 0.541 0.374 Ti
0.109 0.463 0.625 Cr
0.114 0.455 0.125 Cr
0.119 0.791 0.125 Cr
0.123 0.793 0.625 Cr
0.364 0.049 0.376 Cr
0.370 0.051 0.874 Cr
0.370 0.714 0.375 Cr
0.611 0.963 0.625 Cr
0.618 0.300 0.125 Cr
0.623 0.293 0.625 Cr
0.863 0.205 0.376 Cr
0.865 0.541 0.875 Cr
0.868 0.206 0.875 Cr
0.028 0.393 0.819 O
0.029 0.392 0.318 O
0.056 0.078 0.318 O
0.059 0.079 0.817 O
0.061 0.717 0.818 O
0.067 0.720 0.319 O
0.165 0.536 0.931 O
0.174 0.540 0.431 O
0.175 0.178 0.433 O
0.177 0.177 0.932 O
0.204 0.864 0.431 O
0.205 0.863 0.931 O
0.276 0.645 0.069 O
0.276 0.651 0.569 O
0.309 0.329 0.067 O
0.313 0.968 0.068 O
0.314 0.327 0.568 O
0.323 0.969 0.569 O
0.411 0.786 0.681 O
0.414 0.786 0.181 O
0.418 0.428 0.682 O
0.426 0.428 0.182 O
0.455 0.113 0.182 O
0.458 0.105 0.681 O
0.524 0.894 0.320 O
0.527 0.899 0.819 O
0.556 0.212 0.319 O
0.556 0.214 0.819 O
0.568 0.574 0.316 O
0.570 0.573 0.818 O
0.662 0.682 0.433 O
0.668 0.680 0.933 O
0.678 0.041 0.431 O
0.678 0.043 0.931 O
0.706 0.360 0.930 O
0.707 0.357 0.431 O
0.776 0.151 0.569 O
0.777 0.149 0.069 O
0.806 0.465 0.069 O
0.816 0.825 0.568 O
********

**Completed:**
Y2WO6: relaxed, PBE with a Hubbard U.

abc: 5.301 8.723 21.119
angles: 90.00 90.00 90.00
Atoms (fractional coordinates):
Y: 0.010 0.243 0.299
Y: 0.036 0.745 0.931
Y: 0.040 0.091 0.064
Y: 0.087 0.105 0.834
Y: 0.413 0.895 0.334
Y: 0.460 0.909 0.564
Y: 0.464 0.255 0.431
Y: 0.490 0.757 0.799
Y: 0.510 0.257 0.701
Y: 0.536 0.755 0.069
Y: 0.540 0.409 0.936
Y: 0.587 0.395 0.166
Y: 0.913 0.605 0.666
Y: 0.960 0.591 0.436
Y: 0.964 0.245 0.569
Y: 0.990 0.743 0.201
W: 0.014 0.478 0.812
W: 0.063 0.484 0.057
W: 0.437 0.516 0.557
W: 0.486 0.522 0.312
W: 0.514 0.022 0.188
W: 0.563 0.016 0.943
W: 0.937 0.984 0.443
W: 0.986 0.978 0.688
O: 0.108 0.818 0.401
O: 0.128 0.826 0.634
O: 0.175 0.111 0.382
O: 0.179 0.624 0.754
O: 0.192 0.043 0.503
O: 0.202 0.454 0.622
O: 0.209 0.129 0.642
O: 0.224 0.373 0.504
O: 0.229 0.318 0.778
O: 0.229 0.447 0.373
O: 0.238 0.327 0.015
O: 0.248 0.031 0.252
O: 0.252 0.969 0.752
O: 0.262 0.673 0.515
O: 0.271 0.553 0.873
O: 0.271 0.682 0.278
O: 0.276 0.627 0.004
O: 0.291 0.871 0.142
O: 0.298 0.546 0.122
O: 0.308 0.957 0.003
O: 0.321 0.376 0.254
O: 0.325 0.889 0.882
O: 0.372 0.174 0.134
O: 0.392 0.182 0.901
O: 0.608 0.682 0.599
O: 0.628 0.674 0.366
O: 0.675 0.389 0.618
O: 0.679 0.876 0.246
O: 0.692 0.457 0.497
O: 0.702 0.046 0.378
O: 0.709 0.371 0.358
O: 0.724 0.127 0.496
O: 0.729 0.053 0.627
O: 0.729 0.182 0.222
O: 0.738 0.173 0.985
O: 0.748 0.469 0.748
O: 0.752 0.531 0.248
O: 0.762 0.827 0.485
O: 0.771 0.818 0.722
O: 0.771 0.947 0.127
O: 0.776 0.873 0.996
O: 0.791 0.629 0.858
O: 0.798 0.954 0.878
O: 0.808 0.543 0.997
O: 0.821 0.124 0.746
O: 0.825 0.611 0.118
O: 0.872 0.326 0.866
O: 0.892 0.318 0.099

Values from the calculation:
- Energy with MP2020 corrections: -680.45 eV/cell
- Formation energy from the elements: -29.48 eV/f.u.
- Mass density: 6.23 g/cm3
- Crystal system: orthorhombic
- ΔE to the lowest computed polymorph: 0.0120 eV/atom
- Raw total energy: -8.4996 eV per atom
- SG: P2_12_12_1 (19)

----------

Record 1
Compound: Li32Ti3Cr13O48
Source: the Materials Project
Functional: PBE+U
Structure: relaxed

POSCAR file:
```
Li32Ti3Cr13O48
1.0
5.047 0.000 0.000
0.051 8.726 0.000
1.673 2.728 19.238
Li Ti Cr O
32 3 13 48
Direct
0.000 0.000 0.000 Li
0.000 0.332 0.501 Li
0.116 0.127 0.125 Li
0.116 0.128 0.625 Li
0.226 0.919 0.251 Li
0.232 0.923 0.750 Li
0.239 0.255 0.750 Li
0.241 0.253 0.250 Li
0.249 0.583 0.750 Li
0.257 0.587 0.249 Li
0.366 0.378 0.875 Li
0.367 0.378 0.375 Li
0.484 0.174 0.000 Li
0.486 0.175 0.500 Li
0.487 0.503 0.500 Li